Request >
Duplicate the whole of the block further below verbatim.

Data >
Record 1
The following is a quantum chemistry calculation of a molecular structure, C20H52MnNO2P2Si4 at a distorted geometry, from the OMol25 dataset.

The orbital gap (spin up / spin down) is 6.16 / 6.06 eV. The calculation puts the lowest unoccupied orbital energy (spin up / spin down) at 0.0159 / 0.0136 hartree. For the largest force on an atom, the calculation gives 1.63 eV/Å. The relative energy (zero: lowest compared OMol25 entry of this formula, charge and spin) is 0.699 eV. Its HOMO energy (spin up / spin down) is -5.73 / -5.69 eV. As for the multiplicity: 5.

Each line ends with the Mulliken charge.
Element x y z (Å)
C (-0.70048, 1.36010, -5.51902)  -0.774
C (-0.68348, 0.85099, -4.21867)  0.519
N (0.11310, 1.38453, -3.26256)  -0.283
C (0.87814, 2.44981, -3.56034)  0.543
C (0.88058, 3.02052, -4.83158)  -0.800
C (0.08656, 2.46224, -5.83233)  -0.570
C (-1.55540, -0.30428, -3.82527)  -0.880
P (-1.81932, -0.29517, -1.99062)  1.162
Mn (0.11054, 0.51966, -1.12467)  -1.014
P (1.96399, 1.79604, -1.10501)  0.898
C (1.74560, 3.02727, -2.47613)  -1.408
O (-0.49555, -2.80347, -4.45837)  -0.720
O (0.71222, -3.02120, -2.11244)  -0.756
H (-1.35215, 0.87063, -6.24725)  0.487
H (1.52295, 3.87993, -4.99792)  0.489
H (0.09235, 2.87606, -6.83742)  0.403
C (-3.26591, 0.81954, -1.86902)  -1.488
C (-2.52523, -1.95786, -1.76577)  -1.255
H (2.73388, 3.30857, -2.87086)  0.514
H (1.30111, 3.93773, -2.04009)  0.426
H (-1.10485, -1.29860, -4.14360)  0.206
H (-2.53267, -0.23307, -4.32760)  0.513
C (2.48598, 2.90121, 0.24016)  -1.142
C (3.49493, 0.94299, -1.64070)  -1.536
H (0.67608, -2.20401, -1.55059)  -0.241
H (0.46898, -3.76045, -1.51978)  0.290
H (0.05226, -2.95453, -3.62954)  0.501
H (0.11153, -2.80673, -5.21114)  0.298
H (-0.34947, 1.19642, 0.29142)  0.324
H (0.61119, -0.82350, -0.31229)  0.284
H (-4.10207, 0.40999, -2.45412)  0.414
H (-3.58061, 0.93223, -0.82420)  0.316
H (-3.00886, 1.80837, -2.27159)  0.371
H (-3.41562, -2.07731, -2.39832)  0.500
H (-1.78466, -2.71386, -2.06466)  0.335
H (-2.81025, -2.11550, -0.72143)  0.327
H (4.32817, 1.65620, -1.71609)  0.411
H (3.74367, 0.16232, -0.90858)  0.328
H (3.33521, 0.47121, -2.62056)  0.408
H (3.30337, 3.55566, -0.09601)  0.514
H (1.63401, 3.52700, 0.54009)  0.317
H (2.83063, 2.32019, 1.10529)  0.092
C (3.20847, 0.13318, 2.66887)  -1.111
Si (1.42551, 0.55053, 3.13225)  0.675
C (1.21676, -0.11907, 4.90361)  -1.302
C (1.15113, 2.40198, 3.43717)  -1.078
Si (0.03867, -0.17849, 1.34512)  0.689
Si (0.34376, -2.53162, 1.79106)  0.670
C (0.40829, -3.04025, 3.60260)  -1.238
C (-1.07529, -3.55043, 1.08390)  -0.740
C (1.99321, -3.03155, 1.00544)  -0.927
Si (-2.04802, 0.43896, 2.24848)  0.209
C (-2.08491, 0.47177, 4.12960)  -1.229
C (-2.32255, 2.20638, 1.63257)  -1.067
C (-3.43602, -0.69304, 1.69062)  -0.935
H (3.86712, 0.65826, 3.38003)  0.488
H (3.49277, 0.42693, 1.65064)  0.090
H (3.40030, -0.94400, 2.77724)  0.294
H (1.84504, 0.51776, 5.54247)  0.414
H (0.19376, -0.05919, 5.28785)  0.305
H (1.57162, -1.14617, 5.02200)  0.373
H (1.50770, 3.04052, 2.62354)  0.248
H (0.10049, 2.65050, 3.63330)  0.235
H (1.72829, 2.65838, 4.33824)  0.442
H (-0.32217, -2.50859, 4.22450)  0.261
H (0.17244, -4.11508, 3.64661)  0.443
H (1.40977, -2.90874, 4.03017)  0.284
H (-1.22840, -3.41961, 0.00627)  -0.189
H (-0.85256, -4.61371, 1.26458)  0.473
H (-2.02453, -3.32810, 1.58775)  0.269
H (2.08458, -2.77546, -0.05805)  0.209
H (2.84762, -2.58413, 1.52834)  0.258
H (2.08813, -4.12505, 1.09372)  0.378
H (-1.45007, 1.25394, 4.56317)  0.301
H (-3.12702, 0.69167, 4.41099)  0.448
H (-1.81133, -0.49222, 4.57600)  0.287
H (-2.49097, 2.26582, 0.54973)  0.192
H (-3.22375, 2.58027, 2.14298)  0.461
H (-1.48961, 2.87588, 1.88551)  0.291
H (-3.56861, -0.73056, 0.60481)  0.067
H (-3.30869, -1.71560, 2.06604)  0.272
H (-4.36140, -0.28995, 2.12946)  0.463

Record 2
The following is a quantum chemistry calculation of 2 unconnected molecules or ions with the total composition CH4Cl2P2 at a distorted geometry, from the OMol25 dataset.

Result >
Record 1
The following is a quantum chemistry calculation of a molecular structure, C20H52MnNO2P2Si4 at a distorted geometry, from the OMol25 dataset.

The orbital gap (spin up / spin down) is 6.16 / 6.06 eV. The calculation puts the lowest unoccupied orbital energy (spin up / spin down) at 0.0159 / 0.0136 hartree. For the largest force on an atom, the calculation gives 1.63 eV/Å. The relative energy (zero: lowest compared OMol25 entry of this formula, charge and spin) is 0.699 eV. Its HOMO energy (spin up / spin down) is -5.73 / -5.69 eV. As for the multiplicity: 5.

Each line ends with the Mulliken charge.
Element x y z (Å)
C (-0.70048, 1.36010, -5.51902)  -0.774
C (-0.68348, 0.85099, -4.21867)  0.519
N (0.11310, 1.38453, -3.26256)  -0.283
C (0.87814, 2.44981, -3.56034)  0.543
C (0.88058, 3.02052, -4.83158)  -0.800
C (0.08656, 2.46224, -5.83233)  -0.570
C (-1.55540, -0.30428, -3.82527)  -0.880
P (-1.81932, -0.29517, -1.99062)  1.162
Mn (0.11054, 0.51966, -1.12467)  -1.014
P (1.96399, 1.79604, -1.10501)  0.898
C (1.74560, 3.02727, -2.47613)  -1.408
O (-0.49555, -2.80347, -4.45837)  -0.720
O (0.71222, -3.02120, -2.11244)  -0.756
H (-1.35215, 0.87063, -6.24725)  0.487
H (1.52295, 3.87993, -4.99792)  0.489
H (0.09235, 2.87606, -6.83742)  0.403
C (-3.26591, 0.81954, -1.86902)  -1.488
C (-2.52523, -1.95786, -1.76577)  -1.255
H (2.73388, 3.30857, -2.87086)  0.514
H (1.30111, 3.93773, -2.04009)  0.426
H (-1.10485, -1.29860, -4.14360)  0.206
H (-2.53267, -0.23307, -4.32760)  0.513
C (2.48598, 2.90121, 0.24016)  -1.142
C (3.49493, 0.94299, -1.64070)  -1.536
H (0.67608, -2.20401, -1.55059)  -0.241
H (0.46898, -3.76045, -1.51978)  0.290
H (0.05226, -2.95453, -3.62954)  0.501
H (0.11153, -2.80673, -5.21114)  0.298
H (-0.34947, 1.19642, 0.29142)  0.324
H (0.61119, -0.82350, -0.31229)  0.284
H (-4.10207, 0.40999, -2.45412)  0.414
H (-3.58061, 0.93223, -0.82420)  0.316
H (-3.00886, 1.80837, -2.27159)  0.371
H (-3.41562, -2.07731, -2.39832)  0.500
H (-1.78466, -2.71386, -2.06466)  0.335
H (-2.81025, -2.11550, -0.72143)  0.327
H (4.32817, 1.65620, -1.71609)  0.411
H (3.74367, 0.16232, -0.90858)  0.328
H (3.33521, 0.47121, -2.62056)  0.408
H (3.30337, 3.55566, -0.09601)  0.514
H (1.63401, 3.52700, 0.54009)  0.317
H (2.83063, 2.32019, 1.10529)  0.092
C (3.20847, 0.13318, 2.66887)  -1.111
Si (1.42551, 0.55053, 3.13225)  0.675
C (1.21676, -0.11907, 4.90361)  -1.302
C (1.15113, 2.40198, 3.43717)  -1.078
Si (0.03867, -0.17849, 1.34512)  0.689
Si (0.34376, -2.53162, 1.79106)  0.670
C (0.40829, -3.04025, 3.60260)  -1.238
C (-1.07529, -3.55043, 1.08390)  -0.740
C (1.99321, -3.03155, 1.00544)  -0.927
Si (-2.04802, 0.43896, 2.24848)  0.209
C (-2.08491, 0.47177, 4.12960)  -1.229
C (-2.32255, 2.20638, 1.63257)  -1.067
C (-3.43602, -0.69304, 1.69062)  -0.935
H (3.86712, 0.65826, 3.38003)  0.488
H (3.49277, 0.42693, 1.65064)  0.090
H (3.40030, -0.94400, 2.77724)  0.294
H (1.84504, 0.51776, 5.54247)  0.414
H (0.19376, -0.05919, 5.28785)  0.305
H (1.57162, -1.14617, 5.02200)  0.373
H (1.50770, 3.04052, 2.62354)  0.248
H (0.10049, 2.65050, 3.63330)  0.235
H (1.72829, 2.65838, 4.33824)  0.442
H (-0.32217, -2.50859, 4.22450)  0.261
H (0.17244, -4.11508, 3.64661)  0.443
H (1.40977, -2.90874, 4.03017)  0.284
H (-1.22840, -3.41961, 0.00627)  -0.189
H (-0.85256, -4.61371, 1.26458)  0.473
H (-2.02453, -3.32810, 1.58775)  0.269
H (2.08458, -2.77546, -0.05805)  0.209
H (2.84762, -2.58413, 1.52834)  0.258
H (2.08813, -4.12505, 1.09372)  0.378
H (-1.45007, 1.25394, 4.56317)  0.301
H (-3.12702, 0.69167, 4.41099)  0.448
H (-1.81133, -0.49222, 4.57600)  0.287
H (-2.49097, 2.26582, 0.54973)  0.192
H (-3.22375, 2.58027, 2.14298)  0.461
H (-1.48961, 2.87588, 1.88551)  0.291
H (-3.56861, -0.73056, 0.60481)  0.067
H (-3.30869, -1.71560, 2.06604)  0.272
H (-4.36140, -0.28995, 2.12946)  0.463

Record 2
The following is a quantum chemistry calculation of 2 unconnected molecules or ions with the total composition CH4Cl2P2 at a distorted geometry, from the OMol25 dataset.